File:
~~~
Entry 1:
Here is the molecule CH4N2S from the OMol25 dataset. Energies are from ωB97M-V/def2-TZVPD.

Its structure (SMILES) is NNC=S. For the orbital gap, the calculation gives 9.0295 eV. The lowest unoccupied orbital energy is 0.45 eV. The HOMO energy comes out at -8.57 eV.

ORCA input file:
```
! RIJCOSX wB97M-V def2-TZVPD def2/J DEFGRID3
* xyz 0 1
N -1.720 -1.166 0.875
N -0.796 -0.114 0.624
C -0.043 -0.048 -0.461
S 1.414 0.791 -0.551
H -1.286 -2.036 0.626
H -2.518 -1.057 0.285
H -0.449 0.261 1.498
H -0.496 -0.581 -1.319
*
```

Atom-resolved charges from Mulliken, all expressed in e: number 1, N, carries -0.60; number 2, N, carries -0.01; number 3, C, carries -0.14; number 4, S, carries -0.33; number 5, H, carries 0.26; number 6, H, carries 0.26; number 7, H, carries 0.26; number 8, H, carries 0.29

---

Entry 2:
Here is the molecule CH4N2S from the OMol25 dataset. Energies are from ωB97M-V/def2-TZVPD.

For the orbital gap (alpha / beta), the calculation gives 9.3464 / 8.0068 eV. The lowest unoccupied orbital energy (alpha / beta) is -0.24 / -0.25 eV. The HOMO energy (alpha / beta) comes out at -9.58 / -8.25 eV.

ORCA input file:
```
! RIJCOSX wB97M-V def2-TZVPD def2/J DEFGRID3
* xyz 0 1
C 0.534 0.638 -0.155
N 0.575 0.321 1.220
N -0.206 -0.573 -0.496
S -1.770 -0.583 -0.447
H -0.099 1.661 -0.328
H 1.439 0.455 -0.653
H 1.496 0.069 1.542
H -1.969 -1.988 -0.682
*
```

Atom-resolved charges from Mulliken, all expressed in e: number 1, C, carries -0.14; number 2, N, carries -0.47; number 3, N, carries -0.28; number 4, S, carries -0.03; number 5, H, carries 0.26; number 6, H, carries 0.28; number 7, H, carries 0.20; number 8, H, carries 0.17

---

Entry 3:
Here is the molecule CH4N2S2 from the OMol25 dataset. Energies are from ωB97M-V/def2-TZVPD.

Its structure (SMILES) is NC(=S)NS. For the orbital gap, the calculation gives 8.8225 eV. The lowest unoccupied orbital energy is 0.46 eV. The HOMO energy comes out at -8.36 eV.

ORCA input file:
```
! RIJCOSX wB97M-V def2-TZVPD def2/J DEFGRID3
* xyz 0 1
N -1.111 0.407 0.737
C -0.020 0.830 0.038
S 0.354 2.398 -0.122
N 0.748 -0.125 -0.479
S 0.372 -1.751 -0.844
H -1.147 -0.589 0.758
H -2.019 0.873 0.707
H 1.629 0.214 -0.795
H 1.192 -2.257 -0.001
*
```

Mulliken atomic charge list, values in e, 8 entries: number 1, N, carries -0.39; number 2, C, carries 0.44; number 3, S, carries -0.43; number 4, N, carries -0.29; number 5, S, carries -0.17; number 6, H, carries 0.18; number 7, H, carries 0.24; number 8, H, carries 0.26

---

E, respectively: -548.15595 -548.04101 -946.37733 a.u..
Strongest force on any atom, respectively: 1.9 3.3 2.4 eV/A.


(1)
{
  "formula": "C23H31N3O5S",
  "method": "the ωB97M-V functional and the def2-TZVPD basis",
  "symbols": ["C", "H", "C", "H", "C", "N", "C", "O", "C", "N", "S", "O", "O", "C", "C", "C", "C", "C", "C", "H", "H", "H", "H", "H", "H", "H", "H", "C", "C", "C", "C", "C", "C", "H", "H", "H", "H", "H", "H", "H", "H", "H", "H", "H", "H", "C", "O", "N", "H", "C", "C", "C", "C", "C", "O", "H", "H", "H", "H", "H", "H", "H", "H"],
~~~

What to do:
Find the line further above that holds "Entry 3:", then set down that line and all lines after it there.

Worked solution:
Entry 3:
Here is the molecule CH4N2S2 from the OMol25 dataset. Energies are from ωB97M-V/def2-TZVPD.

Its structure (SMILES) is NC(=S)NS. For the orbital gap, the calculation gives 8.8225 eV. The lowest unoccupied orbital energy is 0.46 eV. The HOMO energy comes out at -8.36 eV.

ORCA input file:
```
! RIJCOSX wB97M-V def2-TZVPD def2/J DEFGRID3
* xyz 0 1
N -1.111 0.407 0.737
C -0.020 0.830 0.038
S 0.354 2.398 -0.122
N 0.748 -0.125 -0.479
S 0.372 -1.751 -0.844
H -1.147 -0.589 0.758
H -2.019 0.873 0.707
H 1.629 0.214 -0.795
H 1.192 -2.257 -0.001
*
```

Mulliken atomic charge list, values in e, 8 entries: number 1, N, carries -0.39; number 2, C, carries 0.44; number 3, S, carries -0.43; number 4, N, carries -0.29; number 5, S, carries -0.17; number 6, H, carries 0.18; number 7, H, carries 0.24; number 8, H, carries 0.26

---

E, respectively: -548.15595 -548.04101 -946.37733 a.u..
Strongest force on any atom, respectively: 1.9 3.3 2.4 eV/A.


(1)
{
  "formula": "C23H31N3O5S",
  "method": "the ωB97M-V functional and the def2-TZVPD basis",
  "symbols": ["C", "H", "C", "H", "C", "N", "C", "O", "C", "N", "S", "O", "O", "C", "C", "C", "C", "C", "C", "H", "H", "H", "H", "H", "H", "H", "H", "C", "C", "C", "C", "C", "C", "H", "H", "H", "H", "H", "H", "H", "H", "H", "H", "H", "H", "C", "O", "N", "H", "C", "C", "C", "C", "C", "O", "H", "H", "H", "H", "H", "H", "H", "H"],